The following is a true personal story. Some names and circumstances have been changed for respect and privacy of the families involved:
The story starts at Yolanda’s, a go-to Mexican restaurant in Oxnard. We were there for lunch with our oldest son Jon, and his adopted high school foreign exchange father, Mogens Zarling. For 26 years, since Jon’s half-year stint in Denmark as an exchange student, our entire family has stayed close with Mogens and his full extended family. It’s been a wonderful relationship, including three of the best New Year’s Eve parties we’ll ever attend – including Y2K, which was straight-up beyond party description. Let’s just say the Danes know how to have fun.
The piece is interrupted by records of molecules >
____________
Version i
8
Properties=species:S:1:pos:R:3:mulliken_charge:R:1 method="wB97M-V/def2-TZVPD" mol_weight_g_mol=89.1 e_lumo_ev="-0.540 / -0.942" e_homo_ha="-0.301 / -0.385" gap_ev="7.65 / 9.53"
C -1.35 -0.12 -0.19 0.2414
C -0.07 0.41 -0.30 0.3060
N -2.22 -0.88 -0.02 -0.3804
O 0.32 1.74 -0.40 -0.4824
S 1.31 -0.63 -0.68 -0.2293
H -0.22 -0.50 2.15 0.0338
H 1.23 1.91 -0.02 0.3395
H 1.00 -1.93 -0.53 0.1715

Version ii
8
Properties=species:S:1:pos:R:3:mulliken_charge:R:1 method="wB97M-V/def2-TZVPD" mol_weight_g_mol=89.1 e_lumo_ev="-0.312 / -0.310" e_homo_ha="-0.312 / -0.312" gap_ev="8.17 / 8.18"
C 0.19 -0.10 -0.33 0.1054
C -0.24 0.78 0.76 -0.2325
N -0.74 -0.62 0.49 -0.4417
O 0.86 -1.25 -2.63 -0.4724
S 0.93 0.02 -1.96 0.2788
H 0.32 0.77 1.70 0.2418
H -0.92 1.56 0.58 0.2259
H -0.38 -1.16 1.39 0.2947

Last place for stability: version i

Version i
14
Properties=species:S:1:pos:R:3:mulliken_charge:R:1 method="wB97M-V/def2-TZVPD" mol_weight_g_mol=83.1 e_lumo_ev=0.700 e_homo_ha=-0.362 gap_ev=10.56 smiles="C=N.O.O.O"
C 2.17 0.13 0.68 -0.2758
N 1.19 -0.56 1.10 -0.4499
H 1.88 1.08 0.24 0.2296
H 3.21 -0.11 0.91 0.2720
H 1.50 -1.06 1.96 0.2334
H -4.85 1.79 2.27 0.3188
H -4.45 2.99 3.21 0.3207
O -4.78 2.09 3.18 -0.6396
H 2.01 -2.39 -1.74 0.3157
H 2.51 -2.32 -3.18 0.3111
O 1.78 -2.65 -2.65 -0.6362
H -0.70 0.27 -2.80 0.3003
H -1.06 0.56 -1.29 0.3059
O -0.42 0.19 -1.89 -0.6061

Version ii
14
Properties=species:S:1:pos:R:3:mulliken_charge:R:1 method="wB97M-V/def2-TZVPD" mol_weight_g_mol=83.1 e_lumo_ev=0.729 e_homo_ha=-0.370 gap_ev=10.78 smiles="C=N.O.O.O"
C 1.76 1.13 -0.58 -0.1292
N 0.90 1.55 0.29 -0.4541
H 1.67 0.10 -0.98 0.1057
H 2.42 1.86 -1.11 0.2319
H 1.34 2.28 0.73 0.2432
H -3.63 1.86 1.94 0.2941
H -4.61 0.94 2.41 0.3083
O -3.72 1.19 2.54 -0.6036
H 2.17 -3.13 -1.64 0.3242
H 2.06 -2.32 -0.23 0.3362
O 2.44 -2.33 -1.18 -0.6554
H -1.67 -0.80 -0.57 0.3350
H -0.20 -1.05 -0.56 0.2818
O -0.94 -1.27 -1.05 -0.6182

Last place for stability: version ii

Version i
64
Properties=species:S:1:pos:R:3:mulliken_charge:R:1 method="wB97M-V/def2-TZVPD" mol_weight_g_mol=499.6 e_lumo_ev=0.482 e_homo_ha=-0.284 gap_ev=8.22
C 5.02 3.04 1.40 -1.6406
C 3.58 3.36 1.64 0.4878
C 2.66 2.35 1.88 0.8032
C 1.32 2.65 2.08 -1.3075
C 0.89 3.97 2.09 -0.1383
C 1.80 4.98 1.85 -0.9945
C 3.13 4.68 1.61 -0.5617
H 3.84 5.48 1.43 0.4572
H 1.47 6.01 1.85 0.4071
H -0.14 4.20 2.31 0.6287
N 0.40 1.59 2.33 0.6530
C -0.66 1.29 1.55 0.6638
O -1.41 0.37 1.81 -0.7201
C -0.85 2.13 0.31 -1.0970
H -1.63 1.68 -0.31 0.4382
H -1.15 3.15 0.55 0.7018
S 0.69 2.30 -0.70 0.5573
O 0.23 2.84 -1.98 -0.7900
C 0.93 0.49 -1.02 -0.7553
C -0.29 -0.21 -1.58 0.4850
O -0.72 -1.24 -1.09 -0.6524
N -0.80 0.42 -2.66 0.0646
C -1.91 0.06 -3.44 0.3985
C -2.35 1.00 -4.37 -0.6439
C -3.44 0.74 -5.20 -1.1099
C -4.05 -0.48 -5.07 0.9581
C -3.61 -1.42 -4.13 0.7633
C -2.54 -1.18 -3.31 -1.0392
H -2.21 -1.90 -2.58 0.6284
O -4.39 -2.54 -4.21 -0.4894
C -5.34 -2.28 -5.22 -0.2607
O -5.12 -1.00 -5.75 -0.4767
H -6.35 -2.34 -4.79 0.2398
H -5.24 -3.04 -6.02 0.2379
____________
End of the records of molecules >
Back at lunch at Yolanda’s, right in the middle of some other conversation, our very fit 75-year-old friend Mogens suddenly burst out, “Karl is dead! Karl died!” We were all taken aback at this sudden revelation and why it came out so viscerally.
Back when Jon landed in Denmark at the ripe age of 15, he fell in with a very distinguished group of doctors, nurses, pharmacists, professors and medical entrepreneurs. Put them all together for a New Year’s Eve party and the conversations were as bright as the fireworks they lit up between every meal course!
Karl had been one of Mogens’ best friends. Same age, incredibly intelligent, and for a Dane, fabulously wealthy. Being egalitarian, Danes don’t have nearly the percentage of fabulously wealthy in their population as compared to, say, America. But Karl was indeed rich. And healthy and wise. A true self-made man, Karl had built up an international industrial company from scratch. Karl owned a huge home on a large parcel, with all the cars and play things that the rich accumulate. While many other truly rich guys leave Denmark for lower tax havens, Karl stayed put and stayed friends with this same group of doctors, lawyers, professors, and the like. Karl was an essential part of this band of best friends.

But then, in his late 60’s and early 70’s, a variety of pesky yet not insurmountable medical concerns popped up. Nothing life-threatening and nothing too restrictive. Just aging itself, but perhaps with more annoyance than one would want, should one be able to choose one’s medical annoyances. And this is where the Karl story took an unexpected turn that bothers Mogens to this day.
Karl, this pillar of personal willpower and strength, gave up on living. Mogens said Karl just lost the want and will to overcome the overcome-able. For most, age brings certain infirmities and one either chooses to fight back and retain relevancy and purpose, or lose the will for the struggle and cruise to a slow demise, or simply give up and cave in. Completely contrary to his prior life’s pattern, Karl caved and allowed a series of overcome-able maladies to conspire to take his life, just a year prior to Mogens’ surprising announcement of Karl’s demise.
Karl had it all. Money, prestige, friends by the score, fame. Still, he lost the will to live… and he passed away a much smaller man than he had lived, leaving many grieving friends and family behind.
Perhaps, having lived large, he couldn’t take the thought of a reduced, confined, lesser-light life. Maybe the incremental pains and reduced mobilities took their toll and his calculation was that life at this point didn’t add up to worth living. Perhaps, as most of us will at some point in our lives, Karl simply got depressed, and that caused him to go dark. We don’t know.
But what Mogens knows, is that a vibrant, bigger-than-life, life – was cut far shorter than it really had to be. Surrounded by friends, Karl still had much to offer as well as much to receive.
Love is that way. It can be given and received far, far past our prime. Indeed, living correctly, love can be shared to our last breaths.
Mogens, looking a strong 60 at 75, has almost no change in physical appearance since I first met him 26 years ago. Blessed with the best of Nordic Viking genes, Mogens likely has over 100 years in him. While he did sell his medical practice one year back, this summer he volunteered at a hospital in Greenland of all places, helping locals stay healthy and teaching healthy living. Got a soccer ball? Mogens will take on a light game. Pick a topic? Mogens will discuss it with flair. He’s that kind of guy. Really, an inspiration for fully throwing yourself into life all your days, in whatever way you can.
We know that life isn’t fair and we’re all not created equal in mind and body. Some are destined for tough illnesses, some destined for long, healthy lives, and tragically, some encounter insurmountable defects and disease from birth forward. But for those of us gifted with fair shots at life, we also have a fair say on how we live the span of our days. This is an incredible gift largely due to scientific advances over just these past 100 years. You and I are indeed lucky to live in this age.
But Karl died. Long live our memories of his greatness. And long will live the sadness of his early and apparently unnecessary early demise. Yet Mogens lives on! And wow – what an example of self-investment, self-recreation, and continued contribution to his community of family, friends and humanity at large.
I know at times living will be hard. At times everything will hurt. Parts will slowly degrade – and fail. Many illnesses I’ll overcome, yet sooner or later, one will take me down. But guys like Mogens, with open arms full of love and life, energize me for the life-fights ahead.
I hope you have a “Mogens” in your own lives to motivate you forward. And perhaps you’re a “Mogens” to folks and family who respect and look up to you.
It’s good to remember we live for others as well as for ourselves and that love can be meaningfully given and received through all phases of life.
Gary Horton’s “Full Speed to Port!” has appeared in The Signal since 2006. The opinions expressed in his column do not necessarily reflect the opinions of The Signal or its editorial board.